Friday, March 11, 2011

• Records of molecules from another source follow:
┌──
{"formula": "C23H42N5O", "method": "ωB97M-V/def2-TZVPD", "homo_ev": -9.879, "total_charge": 1, "orbital_gap_ev": 4.984, "lumo_energy_ev": -4.894, "species": ["O", "N", "N", "N", "N", "N", "C", "C", "C", "C", "C", "C", "C", "C", "C", "C", "C", "C", "C", "C", "C", "C", "C", "C", "C", "C", "C", "C", "C", "H", "H", "H", "H", "H", "H", "H", "H", "H", "H", "H", "H", "H", "H", "H", "H", "H", "H", "H", "H", "H", "H", "H", "H", "H", "H", "H", "H", "H", "H", "H", "H", "H", "H", "H", "H", "H", "H", "H", "H", "H", "H"], "positions_angstrom": [[3.537824, 3.191803, 0.907970], [2.377547, 1.524179, -4.735436], [-0.511730, 4.567345, 1.397871], [-2.733374, -4.134971, 5.025213], [-2.448143, -0.586997, -0.972361], [0.721116, 4.465621, 0.923417], [-1.625837, 1.144646, 0.462879], [3.555083, 2.360012, -4.920386], [-3.166156, -0.434698, 1.319550], [3.713241, 1.792174, 0.991783], [2.418064, 0.636257, -7.057704], [1.564398, 1.834800, -3.581572], [-2.955847, -5.353011, 5.790343], [-1.178307, 3.470692, 1.194604], [-2.381873, 0.671961, 1.520776], [-2.719901, -4.847905, 2.566460], [2.713209, 3.590206, -0.166992], [1.598753, 1.248823, -5.932315], [0.569292, 2.253761, 0.053745], [-1.189843, -2.256409, 4.531672], [-0.724552, 2.287473, 0.565926], [-1.361704, -3.667822, 5.071766], [-3.138773, -1.015952, 0.073866], [3.357613, 3.757317, -5.519444], [0.714152, 3.111125, -3.621913], [1.260343, 3.448971, 0.289066], [-3.375436, -4.083617, 3.723507], [-1.707402, 0.474941, -0.740706], [-2.242218, -6.629706, 5.333525], [2.949493, 4.598979, -0.508419], [-3.455750, -3.030642, 3.431793], [4.319521, 4.147680, -5.856706], [-1.640768, -4.692255, 2.522855], [-0.006988, 3.102012, -2.796466], [3.959822, 1.321321, 0.031406], [-2.317597, -7.388477, 6.114636], [2.968534, 4.466785, -4.789557], [-0.163190, -1.921805, 4.690004], [0.811750, 0.535693, -5.671075], [2.855835, 2.871527, -0.980602], [0.144247, 3.202570, -4.545093], [0.987244, 1.403545, -0.464904], [-4.030425, -5.546626, 5.841162], [4.074794, 2.453165, -3.961821], [1.089650, 2.147453, -6.311740], [4.253927, 1.813388, -5.557072], [3.156384, 1.334098, -7.454453], [-4.410337, -4.417396, 3.829354], [2.692566, 3.749206, -6.383493], [-3.744880, -1.907140, -0.073118], [-3.135192, -4.500060, 1.616771], [-0.673874, -4.339143, 4.534926], [-1.106602, 0.852515, -1.570907], [2.831491, 1.268470, 1.391452], [-2.657413, -5.151033, 6.823835], [2.207509, 1.866982, -2.693689], [2.935061, -0.262837, -6.720297], [-1.035727, -3.664343, 6.114938], [-2.698238, -7.052562, 4.439371], [-1.853626, -1.557021, 5.044345], [-3.732053, -0.796451, 2.167015], [1.759956, 0.357079, -7.880615], [-2.330681, 1.170936, 2.483007], [-2.913448, -5.917224, 2.621226], [-1.181175, -6.466560, 5.141660], [-2.200529, 3.471410, 1.562359], [1.324294, 4.005945, -3.497006], [0.890687, 0.985600, -3.410998], [1.303920, 5.284378, 1.080531], [-1.388726, -2.204672, 3.458463], [4.520997, 1.584493, 1.691811]], "forces_ev_per_a": [[0.1, 0.5, -0.2], [0.1, 0.0, 0.3], [0.5, -0.7, -0.3], [-0.2, 0.0, 0.1], [0.0, 0.0, 0.3], [0.3, 0.9, 0.2], [0.1, 0.0, 0.1], [0.2, 0.0, -0.2], [0.3, 0.5, 0.8], [0.0, -0.8, 0.4], [0.1, 0.0, 0.0], [-0.3, -0.1, 0.0], [0.0, -0.1, 0.3], [-1.4, -0.2, 0.6], [0.1, 0.7, 0.4], [-0.1, 0.0, -0.1], [-0.3, -1.0, 0.5], [0.0, 0.0, -0.2], [-1.3, 1.5, 0.9], [0.0, 0.1, -0.1], [0.5, -0.5, -0.2], [0.1, 0.0, -0.1], [-1.1, -1.3, -0.2], [0.1, 0.1, 0.1], [0.0, 0.1, 0.3], [1.5, -0.8, -1.4], [0.0, 0.2, -0.2], [0.8, 0.3, -1.0], [-0.1, -0.1, 0.0], [0.1, 0.0, 0.2], [0.1, 0.0, 0.0], [0.0, 0.0, 0.0], [0.0, 0.0, 0.0], [0.0, 0.0, 0.0], [0.0, 0.3, 0.0], [0.0, 0.0, 0.0], [-0.1, 0.0, -0.1], [0.0, 0.0, 0.0], [0.0, 0.1, 0.2], [-0.1, 0.4, -0.3], [0.0, 0.0, 0.0], [0.1, 0.1, 0.0], [0.0, 0.1, -0.1], [-0.1, -0.1, 0.1], [0.0, 0.0, 0.0], [-0.1, 0.0, 0.0], [0.0, 0.0, 0.0], [0.0, -0.1, 0.1], [0.0, 0.0, 0.0], [0.1, 0.1, -0.2], [0.0, 0.0, 0.0], [0.1, 0.0, 0.0], [-0.2, -0.1, -0.1], [0.0, 0.2, -0.1], [0.1, 0.1, 0.0], [0.2, 0.0, -0.1], [0.0, 0.0, 0.0], [-0.1, -0.1, 0.0], [0.1, 0.0, 0.0], [-0.1, -0.1, 0.0], [-0.2, -0.4, -0.3], [0.0, 0.0, 0.0], [-0.1, -0.1, 0.0], [0.1, 0.0, 0.0], [0.0, 0.0, 0.0], [0.1, 0.2, 0.0], [0.0, 0.0, -0.1], [0.0, 0.0, -0.1], [-0.1, 0.0, 0.0], [0.0, 0.0, 0.0], [0.0, 0.3, -0.1]], "mulliken_charge": [-0.400, 0.130, -1.031, 0.088, -0.552, 0.523, 0.397, -0.612, -0.490, -0.639, -1.439, -0.524, -0.696, -0.296, -0.633, -0.979, -0.101, -0.336, -0.070, -1.323, 0.446, -0.407, -0.375, -0.982, -0.987, -0.095, -0.382, -0.458, -0.964, 0.555, 0.034, 0.387, 0.224, 0.380, 0.310, 0.396, 0.258, 0.477, 0.424, -0.265, 0.369, 0.873, 0.352, 0.291, 0.278, 0.407, 0.312, 0.349, 0.251, 0.416, 0.356, 0.257, 0.521, 0.247, 0.415, -0.078, 0.337, 0.469, 0.224, 0.313, 0.489, 0.440, 0.494, 0.325, 0.276, 0.602, 0.222, 0.406, 0.296, 0.206, 0.298]}
└──
• The records of molecules stop here:


My 30th birthday is coming up in just a few days, and of course, because it's me, I am mooning around and reflecting on it. But hey, it wouldn't be me if I weren't introspecting all over the place.

(On a related side note, I am trying to write a novel, but the main character, instead of doing very much, keeps ending up cooking meals and getting lost in thought while she stirs the stew, considering one side of the dilemma, then the other, then the first side again... I guess every novel really is an autobiography in one way or the other ;D)

Really, though, there is something about 30 that catches my attention, because to me it means something more than the other birthdays leading up to this one. I think it is a combination of factors, but really what it comes down to is a feeling that my "practice run" is over. I had a realization when I was in my mid 20s, furiously finishing my schooling, getting married, starting out in all of these life endeavors, that my life was sort of like a big bowl full of Jell-O that has been in the fridge for about half an hour. It was starting to set, and it was time to start sticking in all the banana slices and marshmallows or whatever random things you like to imagine in your theoretical Jell-O mold. I had a certain number of years to keep poking things into the Jell-O mold of my life, but at a certain point, the mold sets, and there you have your Jell-O, too late for any additions. I feel like at 30, the Jell-O has finally set. I am not likely to stuff any more book-learning in my brain at this point, and who I am and what I want is a lot more steady than it used to be. This I see as a very good thing. I am pretty happy with the Jell-O these days.

## The entry is interrupted by calculated molecules
DFT (the ωB97M-V functional and the def2-TZVPD basis) results for a cluster of 11 separate species, C30H67N7O19 in total.

Results
* SMILES: COC(=O)OC.COC(=O)OC.COC(=O)OC.COC(=O)OC.CNC(C)=O.CNC(C)=O.CNC(C)=O.CNC(C)=O.CC(N)=O.CC(N)=O.CC(N)=O
* energy: -2996.2866 hartree
* E_LUMO: 0.377 eV

Structure (ORCA input):
```
! wB97M-V def2-TZVPD RIJCOSX def2/J DEFGRID3
* xyz 0 1
C -2.99 -2.24 -1.70
H -2.52 6.70 0.70
H -0.18 -6.19 -4.86
C -2.86 -4.32 -2.74
H -4.14 3.07 3.87
O -1.07 5.88 2.54
H -0.64 -3.92 5.49
C 4.01 4.99 -0.34
H 5.09 5.09 -0.36
N 2.93 -0.72 1.23
O -2.01 -4.71 -1.97
H -2.24 -6.27 -4.79
H 4.65 8.56 -3.68
O 4.57 5.42 -2.89
H 1.49 -6.69 -5.10
H -4.82 -4.04 4.63
H -3.00 -1.18 -1.94
H -2.91 -3.91 0.95
H 0.23 3.13 1.87
N 4.30 2.29 -2.55
H -1.95 -2.44 -1.41
O 1.27 -4.85 -4.25
H 3.27 1.18 3.87
C -1.18 -3.69 4.58
H 2.02 0.64 -2.97
H 1.01 -1.16 -2.73
C 0.50 -3.78 -4.06
O 3.35 6.01 -1.09
C 0.80 -5.83 -5.16
H 3.19 8.33 -4.58
N 0.01 7.85 2.53
O -0.66 0.47 -0.85
C 0.52 -5.05 0.09
O -3.43 -5.00 -3.71
H 0.41 -0.86 2.43
H 4.75 3.07 -2.09
C -4.92 5.47 3.86
H -2.60 8.29 1.46
O -0.36 2.50 -0.06
H -4.46 5.16 4.79
C -0.30 1.18 0.05
H -3.76 -6.95 -4.23
C 3.81 6.17 -2.33
H 2.12 -6.13 -1.85
H 4.36 6.99 -4.57
H 0.12 -2.08 -1.52
H 0.22 -1.20 0.69
C 3.52 1.53 -1.76
C -1.01 7.03 2.15
H 3.71 5.17 0.70
H -0.21 -3.45 1.33
H 2.49 -0.28 -1.58
H -1.19 -0.81 1.70
H -6.00 5.33 3.93
H 1.45 3.26 0.59
O 2.37 -1.28 3.34
C 4.33 2.26 -4.00
C 2.82 1.05 2.89
N -4.27 -3.57 3.94
C -2.93 -6.30 -3.94
H -3.50 -2.46 -0.76
H 3.35 2.06 -4.43
O -4.28 -5.32 2.49
H 3.37 -2.09 -0.19
C 2.89 -2.10 0.79
H -0.74 -5.70 -1.32
H 0.22 8.66 1.98
H -0.76 -4.16 3.69
H 4.66 3.25 -4.32
C -3.31 -3.26 1.72
H -2.30 2.82 1.71
O -2.41 -1.77 3.84
H -4.77 6.53 3.67
O 3.27 7.26 -2.85
C 0.38 3.33 0.81
H 3.43 1.57 2.15
H 1.87 -2.47 0.66
C -0.13 -0.60 1.53
H 1.83 1.47 2.91
H -2.53 -2.70 2.23
O 1.61 -5.07 0.62
O 1.02 -3.11 -3.04
H 3.45 -2.77 1.42
H -3.29 1.54 2.28
O -3.37 -3.09 -2.75
H 0.91 -5.53 -6.20
H 0.71 -6.94 -2.59
H -2.20 -4.08 4.66
H 3.61 4.01 -0.59
H -1.38 7.96 0.22
C -4.30 4.72 2.70
H -1.32 -4.80 1.18
C 2.73 -0.42 2.53
O 0.03 0.78 1.27
C 1.18 -6.62 -1.66
H 5.02 1.50 -4.38
H 2.99 0.04 0.56
C -1.92 7.53 1.06
C -0.61 -4.18 0.63
C 3.94 7.80 -3.98
N 0.22 -5.75 -1.02
N -0.23 -1.47 4.38
H 0.69 -1.82 4.61
C -3.34 2.59 1.96
H -3.96 2.63 1.06
H 1.33 -7.52 -1.06
C 2.89 0.32 -2.40
H 0.09 4.37 0.64
H -0.17 -0.51 4.08
O -4.25 5.19 1.57
O 3.28 1.81 -0.58
O -0.46 -3.49 -4.72
H -0.57 -1.69 -3.17
H -1.12 -3.67 -0.19
C 0.29 -1.97 -2.58
C -1.34 -2.22 4.27
H 3.61 -0.31 -2.93
H -2.44 -6.72 -3.07
H -3.97 -2.51 1.30
C -3.99 -4.16 2.74
H 0.70 7.42 3.12
N -3.89 3.45 2.97
H -3.80 -2.73 4.22
*
```



DFT (the ωB97M-V functional and the def2-TZVPD basis) results for a structure of composition C19H19N5O7Ti.

Results
* ΔE to the lowest compared entry with this formula, charge and spin: 0.00 kJ/mol
* energy: -2384.4790 hartree
* E_LUMO: -8.700 eV

Structure (ORCA input):
```
! wB97M-V def2-TZVPD RIJCOSX def2/J DEFGRID3
* xyz 2 1

I have my minor issues with the upcoming milestone, most prominent being my total failure to reach my weight loss goal for my birthday, by about a 25-pound margin. So that stinks. I wanted to be non-overweight so that when I look back at pictures of my 30th birthday party, I will not cringe and wish I had passed up the cake and pasta a few more times before then. I tried, guys, but when we had Constant Sickness in the house from the middle of January until about three days ago, my exercise schedule just completely died, and I don't have time to resurrect it before next Saturday. I eat very carefully for 5 days, then get exhausted and stay up all night grading essays and eating Oreos, then it takes me a few days to get back on track... and so on for about the past 12 weeks. I have lost some weight, but instead of 30 pounds, it's more like 6 pounds. And I have gained and lost the same 5 pounds twice now, and desperately trying not to gain it back yet again. Fridays in Lent are hard because the only things I can eat are carbs and cheese and boiled eggs, and that isn't very healthy. I still have another 15 pounds before I start feeling comfortable in my own skin and not trying to hide from cameras. But I am closer than I have been for a couple of years, so that's good. From now until the party I will meditate on the beauty that is still there in spite of the chunkiness. Maybe watch some more Adele videos (she's gorgeous in spite of or maybe because of being a bit thick) or take some virtual tours through museums of Baroque art. Anything, really, to feel better about the thighs. (sighs)

Other than that, though, it has been a sobering but not really unpleasant journey, mentally psyching myself to walk over this threshold. To me it boils down to the idea that at 30, life is really underway. It isn't the practice round, I don't get a free pass for being a dumbass just because I am in my 20s and don't know any better, I have gray hair and the fine lines start, and the currency I have been hoarding in my metaphorical Hello Kitty wallet from the second grade is outgrowing its usefulness. All the compliments from people that I have painstakingly memorized to tell myself on a rainy day, the days of being so prodigiously young that I was remarkable when I did anything at all, just because other people my age were still delivering pizza for a living, all of that assurance of being somehow remarkable is over. That sounds so terribly conceited when I write it out that way, but hopefully my friends will understand what I mean. It is embarrassing to me to look back on the way I used to see the world, but at the same time I can't deny it. Now, I am a suburban mom who drives an SUV and does laundry without ceasing; I made my first school lunch just this morning. I bought life insurance. I blend into the landscape a little bit more. When I was newly minted as a mom, this blending into the background really bothered me, and I admit that it is still not my favorite thing in the world, but it matters less, because to the people who really matter in my life, I still have distinguishing qualities. Norah says my name with her fat little lips, and her growling baby voice. Chris curls up next to me on the couch and says "I love you so much," totally unprompted. Ben says that I really know him, and it matters to him that I do.

Turning 30 means that I stop collecting life credits in my wallet, and instead, I start to spend them. I lavish my energy on my kids, I literally spend myself serving them, giving things up to be a better mom. I get older, I look older, and my posterity depends on what I do today. So I'm getting out that little girl wallet and I am telling my 20 year-old self, that shadow I see in the mirror sometimes, to calm down and quit worrying. Everything turns out fine. You find a husband, and he's a good one. You have beautiful children. You finish school. You live in a house with a yard. You don't stay young or beautiful or thin, but you stay good, and in fact, you get even better.

1 comment:

# Unrelated to this entry: quantum chemistry results
/*
(1)
Entry from the OMol25 dataset: C40H79NO14Rb as an isolated structure at a distorted geometry (ωB97M-V with the def2-TZVPD basis set).

Multiplicity ... 1
Orbital gap ... 3.47 eV
ΔE to the lowest compared entry with this formula, charge and spin ... 291.3 kJ/mol
Charge ... -1
Highest occupied orbital energy ... -2.461 eV

Element x y z (Å)
Rb 3.707 3.553 -2.169
O -0.284 7.690 3.173
C 0.287 6.702 2.605
O 0.223 5.666 3.260
O 0.723 6.766 1.438
H -0.388 6.983 3.813
C -0.901 1.327 -0.476
C -0.061 1.514 0.802
C -0.123 0.166 1.595
C 0.737 -0.949 0.994
C 2.138 -0.460 0.877
C 2.362 0.861 0.111
N 1.385 1.914 0.641
O 1.525 3.224 0.092
C 2.194 0.400 -1.386
C 3.833 1.299 0.405
C -0.827 2.517 1.786
H -1.980 1.294 -0.324
H -0.570 0.461 -1.050
H -0.714 2.121 -1.198
H -1.100 -0.290 1.755
H 0.326 0.465 2.542
H 0.378 -1.272 0.017
H 0.757 -1.836 1.627
H 2.546 -1.333 0.368
H 2.521 -0.426 1.897
H 3.092 -0.107 -1.740
H 2.137 1.312 -1.981
H 1.381 -0.258 -1.691
H 3.810 1.523 1.472
H 4.084 2.179 -0.187
H 4.455 0.417 0.248
H -0.831 2.187 2.825
H -1.881 2.721 1.596
H -0.576 3.576 1.852
C 6.020 0.796 3.011
C 5.118 1.215 4.099
O 4.774 2.378 4.181
C 4.678 0.235 5.134
H 7.043 0.751 3.385
H 5.999 1.538 2.213
H 5.685 -0.148 2.581
H 5.356 -0.603 5.297
H 3.803 -0.239 4.689
H 4.369 0.683 6.078
C -5.416 3.513 -2.002
C -4.218 3.606 -1.042
O -3.146 3.984 -1.463
C -4.352 3.001 0.312
H -6.294 3.713 -1.389
H -5.542 2.512 -2.416
H -5.167 4.179 -2.828
H -3.879 2.022 0.393
H -5.381 2.945 0.666
H -3.941 3.585 1.136
C 4.393 -4.561 -3.838
C 3.433 -4.657 -2.657
O 3.020 -5.716 -2.191
C 3.035 -3.384 -1.977
H 4.397 -5.518 -4.360
H 5.404 -4.322 -3.510
H 4.003 -3.730 -4.426
H 3.936 -2.949 -1.545
H 2.320 -3.562 -1.173
H 2.530 -2.650 -2.605
C -1.950 1.962 -3.982
C -0.916 3.061 -4.025
O -1.250 4.253 -3.983
C 0.526 2.641 -4.201
H -2.463 1.933 -3.020
H -1.476 0.996 -4.152
H -2.618 2.226 -4.801
H 0.845 1.893 -3.476
H 1.188 3.464 -3.933
H 0.811 2.505 -5.245
C -2.863 -1.797 4.003
C -3.922 -2.816 4.456
O -5.079 -2.446 4.672
C -3.699 -4.321 4.533
H -2.389 -2.184 3.101
H -2.070 -1.562 4.713
H -3.216 -0.800 3.737
H -4.431 -4.774 5.200
H -2.669 -4.671 4.607
H -4.086 -4.631 3.562
C 5.576 0.445 -5.010
C 4.113 0.799 -4.821
O 3.734 1.964 -4.605
C 3.215 -0.353 -5.040
H 5.724 -0.545 -5.440
H 6.003 0.273 -4.021
H 6.253 1.105 -5.552
H 2.337 -0.210 -4.409
H 3.616 -1.329 -4.768
H 2.801 -0.297 -6.047
C -0.515 0.544 5.473
C 0.369 1.736 5.347
O 1.480 1.733 4.751
C -0.246 3.042 5.836
H -0.665 0.301 6.525
H -0.161 -0.405 5.071
H -1.494 0.772 5.053
H 0.007 3.862 5.164
H 0.147 3.277 6.826
H -1.318 2.897 5.967
C -2.516 -4.170 0.721
C -1.195 -4.956 1.060
O -1.285 -5.903 1.824
C 0.045 -4.587 0.274
H -3.176 -4.196 1.589
H -2.846 -4.815 -0.094
H -2.411 -3.150 0.351
H -0.133 -3.641 -0.237
H 0.201 -5.381 -0.456
H 0.864 -4.581 0.993
C -5.922 -1.114 1.165
C -5.454 -0.288 -0.051
O -6.181 0.465 -0.617
C -4.030 -0.545 -0.539
H -5.161 -0.928 1.923
H -6.077 -2.170 0.942
H -6.884 -0.820 1.583
H -3.820 -1.609 -0.645
H -3.300 -0.125 0.153
*/
# The quantum chemistry results stop here

  1. Sheesh,'re an amazing writer.
